Book Name: A Dance with Domination
Author Name: K.C. Wells
Author Bio: Born and raised in the north-west of England, K.C.Wells always loved writing. Words were important. Full stop. However, when childhood gave way to adulthood, the writing ceased, as life got in the way.
K.C. discovered erotic fiction in 2009, where the purchase of a ménage storyline led to the startling discovery that reading about men in love was damn hot. In 2012, arriving at a really low point in life led to the desperate need to do something creative. An even bigger discovery waited in the wings – writing about men in love was even hotter…
K.C. now writes full-time and is loving every minute of her new career.
The laptop still has no idea of what hit it… it only knows that it wants a rest, please. And it now has to get used to the idea that where K.C goes, it goes.
Author Links: K.C. can be reached via email (, on Facebook ( or through comments at the K.C.Wells website ( ) K.C. loves to hear from readers.
Twitter: @IslandTalesPress
Cover Artist: Paul Richmond
Publisher: Dreamspinner Press
Recently returned to the UK after living in the States since he was eleven, Andrew Barrett is determined to keep busy and make a new life for himself. He works full time as a copywriter and strips at a club on Canal Street on weekends. But it still leaves him too much time to think. Then he finds the BDSM club, Collars & Cuffs, where at twenty-nine, he is their youngest Dom. Young doesn’t mean inexperienced, however. All this activity keeps him focused with no time to dwell on the past. But the past has a way of intruding on the present.
It’s been four long years since Gareth Michaels last set foot inside Collars & Cuffs. But when he finally summons his courage and steps back into his former world, he finds the man who drove him away is still a member, and what’s more, he wants Gareth back. Two men in pain need the freedom they find in each other, but it takes another man’s horrific plans to make them see it.
“When you’re ready, Andrew.” Leo gave him a nod.
Andrew acknowledged him, took a breath, and then faced Dorian, who held himself motionless as Andrew circled around him, inspecting him from every angle. “Good evening, Dorian. I am Master Andrew. For this evening, you will address me as Sir. What are your safewords?”
“Thunder is for stop, Sir, and lightning is for slow down.” Dorian gazed steadfastly at the floor.
Andrew picked up the cotton ropes. “Have you ever been restrained before, using the technique of Shibari?”
“No, Sir.” Dorian spoke quietly.
Andrew unfurled a coil of rope. “I usually do a full-body suspension when I demonstrate this technique, so I don’t propose to make this a full demonstration. That would take hours. You should find it comfortable but confining—and if I do it correctly, you’ll make a very pretty picture.” Dorian quirked his eyebrows, and Andrew smiled. “Shibari should always be aesthetically pleasing to the eye. It’s not just about bondage.” He stood before Dorian. “On your back on the table, boy.” Dorian complied immediately, getting up gracefully from the floor and climbing onto the bondage table.
Andrew pushed Dorian’s left leg back toward his arse, so that his heel met the curve of his buttock. He took the first length of rope and wound it around his upper thigh, close to the groin, securing ankle and thigh together and tying it in an intricate knot. He repeated the process on the other side. Then he tied another rope around each leg, this time closer to the knee.
Andrew pulled Dorian to his knees and placed his hands behind him. He picked up the blindfold and a set of orange foam ear defenders and showed them to the boy.
“I’m going to take away two of your senses now,” he told the sub in a low voice that only Dorian could hear. “You’ll be able to speak, but only safewords. Is that clear?”
“Yes, Sir.” Dorian’s voice was clear and firm.
Andrew slipped the blindfold over his eyes. “I’m going to insert foam ear plugs into your ears. Remember, if you want me to stop, or if you have a problem, use your safewords. I will always be right here.”
“Yes, Sir.” Dorian appeared calm, in a state of complete readiness.
Andrew compressed the foam plugs and placed them carefully into Dorian’s ears, watching them expand to fill the cavities. He took a longer length of rope as he prepared to form the harness down Dorian’s torso. He worked slowly, methodically, making sure each section looked perfect before moving on to the next, until Dorian had an intricate series of knots all down his front. He knew that each pull of the ropes over his skin was heightening the experience for Dorian. Andrew was pleased. The white ropes looked good against Dorian’s creamy skin, passing over his shoulders and around his arms, down his torso, and at the uppermost part of the thigh where leg met groin, slipping past his balls.
Dorian kept still as Andrew worked in silence, making sure with every knot that Dorian was comfortable and in no sign of physical or mental distress. When the harness was complete, Andrew stepped back to survey it critically, adjusting a knot here, a length there. The boy looked beautiful. Only one thing left to complete before I begin. He picked up the leather boot laces and smiled to himself.
Andrew stood in front of the sub and slowly trailed the thin strips of leather over Dorian’s balls and cock. Dorian gave a slight shiver but then became still, his body tense as he awaited Andrew’s next move. Andrew grabbed Dorian’s balls and pulled on them, feeling the shudder which rippled through him. He tied the strip around and around the balls in his hand, separating them from the shaft. He ran his fingers over the sac, knowing full well that the stretch made Dorian’s balls extremely sensitive. Andrew wrapped his hand around Dorian’s cock and stroked him gently, watching as he hardened, loving the hitch in his breathing. When his dick pointed skyward, Andrew looped another length around his cock and balls, fashioning a leather cock ring around the base of his shaft until Dorian’s dick was red and throbbing, looking painfully hard. Dorian let out a low moan and bit his lower lip.
Andrew crossed to the table and placed the banjo picks on each fingertip of one hand. He stood beside Dorian, ensuring that Leo and Thomas had a clear view, and then trailed the picks down the boy’s arm, feeling the brief start as the slivers of metal connected with his skin. Andrew trailed his fingers over Dorian’s neck before moving slowly over his back between the ropes, keeping his touch light. Then he moved to stroke his inner thighs, noting the shivers which rippled through Dorian as he brought his fingers higher, not quite reaching his balls.
Dorian quivered as Andrew stroked along his inner arms, before moving ever so slowly down his torso, running his fingers over the ropes, over the taut belly, until he arrived at the boy’s groin. Andrew moved slowly, scraping the picks lightly over his skin, noting Dorian’s shivers as he stroked along his cock. When he cupped the boy’s balls and rippled his fingers over them, Dorian couldn’t repress the shudder that jolted through him. Andrew toyed with his sac and cock, hearing his soft whimpers as the metal danced over the sensitized areas. Dorian’s lips parted, but no words came out, only sounds. Andrew ran both hands simultaneously across Dorian’s back, watching the sub as he tried to arch away from his touch.
Andrew moved his hands away and took off the picks, only to return with the spiked wheel. He paused, waiting until Dorian was still once more, before running the tiny wheel over his thigh. Dorian gasped as the wheel moved over his skin, tiny pinpricks of sensation. Andrew moved the wheel away and reapplied it over Dorian’s chest, rolling it close to his nipple. The sub squirmed as Andrew ran the wheel around his nipple, leaned closer, gripped the other between his fingers, and twisted it slightly. That got a definite reaction. Dorian hissed as he drew in a breath, the sharp intake becoming a groan when Andrew moved the spiked wheel ever-so- slowly along the length of his cock. He trembled as Andrew applied the wheel to different areas, making sure the sub never knew where it would land next. When he’d reduced Dorian to a squirming mass, Andrew grabbed the cup of ice.
Dorian whimpered as Andrew ran an ice cube over his balls, and it became a low cry as Andrew simultaneously applied the ice to his nipple. “Oh, fuck.” The words seemed dragged from him involuntarily. Andrew circled Dorian, trailing the ice randomly over his skin, watching him fight to control his reactions. Dorian twitched nervously, his body tense as he awaited the next sensual onslaught.
Andrew put the banjo picks back on his fingers and ran his hand over Dorian’s back once more, watching him shudder as he moved lower, stroking over the globes of his arse and nearing his hole. He slid a single finger from under his balls to the tip of his cock. Memories assaulted him, as suddenly he was right there in Dorian’s place.
I’m doing everything you taught me, Sir, he told Blade in his head. God, I remember you doing this to me. I remember that searing, white-hot feeling that made me feel like I was coming when I knew I wasn’t. He smiled to himself. Fuck, you were such a tease, Blade.
Dorian was panting, and Andrew pulled back, not wanting to rush it. He intended to bring the boy to the edge again and again. When Dorian had calmed a little, Andrew was back, scraping his finger over the boy’s hole, feeling the tremors that rippled through his body, his mouth opening slightly but no sounds issuing. Dorian’s cock was rigid. Andrew grabbed another piece of ice and moved it slowly over Dorian’s arse until it reached his hole. The boy stiffened as he ran the cube around the rim before pushing insistently, the heat from Dorian’s hot little hole melting the ice as he eased it into his anus. Dorian cried out, a low, urgent sound, and he arched his back, as though trying to escape the sensations which Andrew knew were coursing through his body right now.
And then it was Brian kneeling before him, Brian moaning as Andrew pressed ice inside him.
Oh hell—the sounds you made when I did this to you. I knew you weren’t okay with it, not at first, but you soon forgot about the discomfort when it was my bare, hot cock sliding into you. Andrew closed his eyes momentarily, the images there in the forefront of his mind. He shook himself as the memories came thick and fast, some so painful that he caught his breath. Not now. Can’t think of him now.
Tour Dates: May 23 – June 20
Tour Stops:
May 23: 3 Chicks After Dark, Hearts on Fire
May 26: Love Bytes, It’s Raining Men
May 27: Havan Fellows
May 28: Amanda C. Stone
May 29: MM Good Books
May 30: Mrs. Condit & Friends, Prism Book Alliance
June 2: Jade Crystal
June 3: Parker Williams
June 4: Fallen Angel Reviews
June 5: LeAnn’s Book Reviews
June 6: Cate Ashwood
June 9: The Novel Approach, My Fiction Nook
June 10: Kimi-Chan
June 11: Iyana Jenna, SA McAuley
June 12: Vicktor Alexander
June 13: Two Men Are Better Than One
June 16: Angel Martinez, Rainbow Gold Reviews
June 17: Book Reviews and More by Kathy, Book Reviews, Rants, and Raves, Smoocher’s Voice
June 18: Louise Lyons
June 19: Kimber Vale, Scattered Thoughts & Rogue Words
June 20: Up All Night, Read All Day, F.E. Feeley Jr., Nephylim
Buy Links:
Rafflecopter Prize: $25 Amazon card + E-copy of A Dance With Domination
Good Morning!
Hi KC! Thx for the giveaway!
Hi KC, I have read all your books so far in the Collar and cuffs series and I look forward to reading your latest book. Thanks for the giveaway.
Sounds very appealing. Looking forward to reading! Thanks for the great giveaway opportunity.
This looks like it will be incredibly sexy and engaging!
This is a fantastic series and I look forward to reading this book.
I really enjoyed her Learning to Love series and looking forward to reading this series as well. Thanks for the giveaway!
Awesome need it!
Hello! I have enjoyed this series very much, looking forward to reading this one as well.
Hello K.C. Wells. Thank you for the chance.
Materials data from another source follow:
LuH9C5N2O8: calculated powder diffractogram (Cu Kα (weighted mean of Kα1 and Kα2)), based on a cell relaxed with PBE.

Atomic structure:
```
data_LuH9C5N2O8
_chemical_formula_sum 'Lu2 H18 C10 N4 O16'
_cell_length_a 11.192
_cell_length_b 7.212
_cell_length_c 6.536
_cell_angle_alpha 90.00
_cell_angle_beta 109.62
_cell_angle_gamma 90.00
_symmetry_space_group_name_H-M 'C 1 2 1'
_symmetry_Int_Tables_number 5
loop_
_symmetry_equiv_pos_as_xyz
'x,y,z'
'-x,y,-z'
'x+1/2,y+1/2,z'
'-x+1/2,y+1/2,-z'
loop_
_atom_site_label
_atom_site_fract_x
_atom_site_fract_y
_atom_site_fract_z
_atom_site_occupancy
Lu1 0.000 0.000 0.000 1
H1 0.000 0.084 0.500 1
H2 0.006 0.449 0.171 1
H3 0.121 0.612 0.461 1
H4 0.181 0.650 0.876 1
H5 0.219 0.421 0.592 1
C1 0.000 0.931 0.500 1
C2 0.085 0.375 0.291 1
C3 0.236 0.708 0.037 1
N1 0.148 0.476 0.461 1
O1 0.006 0.849 0.331 1
O2 0.109 0.209 0.261 1
O3 0.150 0.162 0.874 1
O4 0.176 0.820 0.120 1
```

Most intense lines, 10 to 90 degrees two-theta, by angle:
(hkl), 2θ/deg, d [Å], intensity
0 0 1, 14.39, 6.157, 45
1 1 0, 14.88, 5.952, 100
2 0 0, 16.82, 5.271, 32
2 0 -1, 18.11, 4.898, 23
1 1 -1, 18.67, 4.753, 50
1 1 1, 22.66, 3.924, 39
3 1 0, 28.25, 3.159, 27
2 2 0, 30.04, 2.975, 41
3 1 -2, 33.99, 2.638, 20
2 2 1, 35.92, 2.500, 19
0 2 2, 38.45, 2.341, 19
5 1 0, 44.78, 2.024, 20



YNiH8Ir2: calculated powder diffractogram (Cu Kα (weighted mean of Kα1 and Kα2)), based on a cell relaxed with PBE.

Atomic structure:
```
data_YNiH8Ir2
_chemical_formula_sum 'Y3 Ni3 H24 Ir6'
_cell_length_a 4.5861
_cell_length_b 4.5861
_cell_length_c 16.4167
_cell_angle_alpha 90.00
_cell_angle_beta 90.00
_cell_angle_gamma 120.00
_symmetry_space_group_name_H-M 'R -3'
_symmetry_Int_Tables_number 148
_symmetry_space_group_name_Hall '-R 3'
loop_
_atom_site_label
_atom_site_fract_x
_atom_site_fract_y
_atom_site_fract_z
_atom_site_occupancy
Y1 0.0000 0.0000 0.0000 1
Ni1 0.0000 0.0000 0.5000 1
H1 0.0000 0.0000 0.3176 1
H2 0.0166 0.7146 0.5614 1
Ir1 0.0000 0.0000 0.2189 1
```

Most intense lines, 10 to 90 degrees two-theta, by angle:
(hkl), 2θ/deg, d [Å], intensity
0 0 3, 16.20, 5.472, 30
0 1 2, 24.91, 3.575, 36
1 0 4, 31.34, 2.854, 100
0 1 5, 35.47, 2.531, 45
1 1 0, 39.29, 2.293, 86
1 1 3, 42.76, 2.115, 16
1 0 7, 44.88, 2.019, 25
0 2 4, 51.10, 1.788, 25
0 2 7, 61.12, 1.516, 17
1 1 9, 65.37, 1.427, 23
2 1 4, 66.30, 1.410, 23
3 0 0, 71.23, 1.324, 15



TeO2: calculated powder diffractogram (Cu Kα (weighted mean of Kα1 and Kα2)), based on a cell relaxed with PBE.

Atomic structure:
```
data_TeO2
_chemical_formula_sum 'Te4 O8'
_cell_length_a 4.977
_cell_length_b 4.977
_cell_length_c 7.620
_cell_angle_alpha 90.00
_cell_angle_beta 90.00
_cell_angle_gamma 90.00
_symmetry_space_group_name_H-M 'P 43 21 2'
_symmetry_Int_Tables_number 96
loop_
_symmetry_equiv_pos_as_xyz
'x,y,z'
'-y+1/2,x+1/2,z+3/4'
'-x,-y,z+1/2'
'y+1/2,-x+1/2,z+1/4'
'x+1/2,-y+1/2,-z+1/4'
'-y,-x,-z+1/2'
'-x+1/2,y+1/2,-z+3/4'
'y,x,-z'
loop_
_atom_site_label
_atom_site_fract_x
_atom_site_fract_y
_atom_site_fract_z
Hey, KC thanks for the contest
-- Calculated crystals, kept here for reference --
........
(1)
For KEuBiSbO6, a crystal structure in the Materials Project, relaxed with PBE gives the simulated powder XRD pattern in this record (copper Kα).
Kinematic intensities with the Lorentz-polarization factor, no thermal factor.

Atomic structure:
Cell lengths 8.4417, 8.4417, 8.4417 Å; angles 90.00, 90.00, 90.00 degrees
Space group F-43m (No. 216)
One atom of each set of equivalent atoms:
K 0.0000 0.0000 0.0000 [4 per cell]
Eu 0.0000 0.0000 0.5000 [4 per cell]
Bi 0.2500 0.2500 0.7500 [4 per cell]
Sb 0.2500 0.2500 0.2500 [4 per cell]
O 0.0131 0.2500 0.2500 [24 per cell]

Top 10 peaks for 2θ from 10° to 80°, low angle first:
d (Å)	I/Imax	index
4.874	16	1 1 1
4.221	14	2 0 0
2.985	100	2 2 0
2.545	11	3 1 1
2.110	30	4 0 0
1.888	6	4 2 0
1.723	41	4 2 2
1.492	19	4 4 0
1.335	18	6 2 0
1.218	6	4 4 4



(2)
For KEuSnBiO6, a crystal structure in the Materials Project, relaxed with PBE gives the simulated powder XRD pattern in this record (copper Kα).
Kinematic intensities with the Lorentz-polarization factor, no thermal factor.

Atomic structure:
Cell lengths 8.4349, 8.4349, 8.4349 Å; angles 90.00, 90.00, 90.00 degrees
Space group F-43m (No. 216)
One atom of each set of equivalent atoms:
K 0.0000 0.0000 0.0000 [4 per cell]
Eu 0.0000 0.0000 0.5000 [4 per cell]
Sn 0.2500 0.2500 0.7500 [4 per cell]
Bi 0.2500 0.2500 0.2500 [4 per cell]
O 0.0040 0.2500 0.7500 [24 per cell]

Top 10 peaks for 2θ from 10° to 80°, low angle first:
d (Å)	I/Imax	index
4.870	17	1 1 1
4.217	14	2 0 0
2.982	100	2 2 0
2.543	11	3 1 1
2.109	30	4 0 0
1.886	7	4 2 0
1.722	42	4 2 2
1.491	19	4 4 0
1.334	18	6 2 0
........
This story look fantastic!
Love the cover! Thanks for the giveaway.
Thanks for the giveaway! =)
Sounds like a great read. Count me in please
Great excerpt & giveaway!
good evening! thanks for the giveaway
hello Kc!!! I can’t wait to read this new one thanks for this chance
Hello KC. Love the sound of the book. It is a definite read for me.